Wednesday, March 24, 2010

3 Nephi 12 ~ Student Teachers

Seminary was great today!  I was a little apprehensive about today but the inspiration I received while preparing this lesson was just exactly what I needed to do. 

Spring break begins after school on Friday and so the kids are getting so restless.  It is a challenge to teach and keep them engaged in it.  So this is what we did today.

We are on 3 Nephi 12.  I divided the chapter up into three parts and then three groups of kids.  I gave each group a portion of the chapter.  They had 15 minutes to develop a 5 minute lesson around their assigned scritpures. 

Group 1 had the Sermon on the Mount from verses 1-12
Group 2 had the Salt and the Candle from verses 13-16
Group 3 had love thy neighbor and perfection from verses 37-48

They did an amazing job!  I became the student, they became the teachers.  I helped them very little!  I saw their perspective on these scriptures and it was really fun. 

One of the boys (Cooper L.)  in group 3 talked about perfection but then also brought in the scriptures about being a peacemaker.  He said that finally (he had been praying for an answer to this question) after reading this scripture (vs. 39) and doing this lesson he understood - received the answer to his prayers about fighting.  He has had many of his friends ask him if members of the church are allowed to fight.  He said now he understands!  I love it!  Now he understands!  Now his prayer is answered!  He seached the scriptures and found the answer!!!  Isn't that what it is all about.  Finding the answers ~ searching the scriptures ~ having the spirit tell you that you found the answer! 

These kids are amazing.  I am blessed to rub shoulders with them everyday.  They have insights into the scriptures that are exciting for me to hear about every morning.  They try so hard to do what is right and good and to be good examples. 

I said the closing prayer and asked Heavenly Father to bless them for their diligence and to protect them from the evil influences around them every day.  I know He will protect them today.  I am grateful!

Wednesday, March 17, 2010

3 Nephi

I love 3rd Nephi. That's what we've been studying the last couple of days. Yesterday and today were good discussions.

Yesterday I darkened the room ~ black plastic on the windows and the doors ~ lights out ~ eyes closed ~ then I found a recording of a thunderstorm that I had playing in the background as I read 3 Nephi 8:1-23 which are the events surrounding the death of the Savior. Then we talked about what impressed them in those verses, and how they would have felt if they had actually been there. Some of them picked up on being able to feel the vapor of darkness. Some of them would have liked to have been there to experience the destruction.

Then we read Matthew 27:45-54 and talked about what happened at Jerusalem when Jesus was crucified. We found the similarities. We read John 8:12 to help us understand why darkness accompanied His death.
We compared 3 Nephi 8:1-23 with Joseph Smith-Matthew 1:28-33 finding the similarities between the coming of the Savior to the Nephites and what is prophesied to precede His Second Coming. We talked about what we can do to be safe and be prepared for the Second Coming.

Today we continued our discussion. We read D&C 1:14 and D&C 109:22-26 to discover how or where we can find protection in our day. This was a quote from the lesson that I shared with them… Elder Lance B. Wickman, a member of the Seventy:

"Climbing atop the Mount of Olives with his disciples, the Savior prophesied the cataclysmic events that would precede the destruction of Jerusalem and his second coming. He then issued this portentous admonition to his disciples, ancient and modern: 'Then you shall stand in the holy place; whoso readeth let him understand' (Joseph Smith—Matthew 1:12; italics added; see also Matthew 24:15). Latter-day revelations provide understanding. They teach that in our day, amidst strife and catastrophe and pestilence, there are two kingdoms locked in grim struggle for the souls of men—Zion and Babylon. More than once they repeat the injunction to 'stand in holy places' for a refuge from these storms of latter-day life (D&C 45:32; see also D&C 87:8; 101:16–23). Prominent among such holy places, and key to all the others, is the temple of the Lord." (Ensign, Nov. 1994, 82–83)

Then we talked about where else we can go ~ if we can't get to the temple ~ that is a place of safety ~ our homes! We talked about how to make our homes a place of refuge. They had some good thoughts and ideas ~ music ~ being a peacemaker ~ turning off the TV or computer when negative things are on them.

I read them this story "Storm Warning" by Elder Neil L. Andersen and we talked about the 4 powerful pillars to anchor us in our spiritual foundation so the tornadoes of the world will not dislodge us and carry us away.
  1. We must pray
  2. We must study the scriptures
  3. We must worship
  4. We must be willing to serve one another
I challenged them today to have an Eternal Perspective ~ make choices today based on the eternal consequences ~ how will this choice affect me eternally. I was a good story – lots of food for thought.  It was a good couple of days.

I've learned over the course of my adult life that the Second Coming is nothing to fear as long as I am grounded in the gospel, I am obedient, I follow the prophet, I love the Lord and I am striving diligently each day to do the very best that I can. The prophet says that life right now, in the latter-days, is not to be feared. And so I strive each day to live by the motto ~ Faith not Fear!

/*
Material: TaAs2Cl
Method: DFT, PBE
State: relaxed

Output
Total magnetization   0.00 μB per cell
Uncorrected formation energy   -0.11 eV per atom
Relative energy among the computed polymorphs   251 meV per atom

a = 8.2341 Å, b = 8.2341 Å, c = 8.2341 Å
α = 23.84°, β = 23.84°, γ = 23.84°
Positions (direct):
1 As 0.0104 0.0104 0.0104
2 As 0.4896 0.4896 0.4896
3 Cl 0.2500 0.2500 0.2500
4 Ta 0.7500 0.7500 0.7500

* * * * *

No. 1
Entry from the Alexandria database: an optimized crystal structure of CsTiAs3 (PBE).

Cell and atoms, written as CIF:
```
data_CsTiAs3
_cell_length_a 5.580
_cell_length_b 5.580
_cell_length_c 5.580
_cell_angle_alpha 90.00
_cell_angle_beta 90.00
_cell_angle_gamma 90.00
_space_group_name_H-M_alt 'P m -3 m'
_space_group_IT_number 221
_space_group_name_Hall '-P 4 2 3'
loop_
_atom_site_label
_atom_site_type_symbol
_atom_site_fract_x
_atom_site_fract_y
_atom_site_fract_z
Cs1 Cs 0.000 0.000 0.000
Ti1 Ti 0.500 0.500 0.500
As1 As 0.000 0.000 0.500
```

**Energy of formation**: 1883 meV/atom
**Calculated total energy**: -2.6561 eV per atom
**Energy above the lowest structure with this stoichiometry**: 1011 kJ/mol of formula units

***

No. 2
Entry from the Alexandria database: an optimized crystal structure of Cs3TiAs3 (PBE).

Cell and atoms, written as CIF:
```
data_Cs3TiAs3
_cell_length_a 7.530
_cell_length_b 15.995
_cell_length_c 11.129
_cell_angle_alpha 90.00
_cell_angle_beta 117.62
_cell_angle_gamma 90.00
_space_group_name_H-M_alt 'P 1 21/c 1'
_space_group_IT_number 14
_space_group_name_Hall '-P 2ybc'
loop_
_atom_site_label
_atom_site_type_symbol
_atom_site_fract_x
_atom_site_fract_y
_atom_site_fract_z
Cs1 Cs 0.108 0.142 0.493
Cs2 Cs 0.148 0.034 0.887
Cs3 Cs 0.359 0.706 0.579
Ti1 Ti 0.457 0.051 0.364
As1 As 0.229 0.151 0.191
As2 As 0.320 0.586 0.894
As3 As 0.436 0.607 0.297
```

**Energy of formation**: -512 meV/atom
**Calculated total energy**: -3.9983 eV per atom

***

No. 3
Entry from the Alexandria database: an optimized crystal structure of CsTiAs3 (PBE).

Cell and atoms, written as CIF:
```
data_CsTiAs3
_cell_length_a 5.084
_cell_length_b 5.084
_cell_length_c 5.084
_cell_angle_alpha 90.00
_cell_angle_beta 90.00
_cell_angle_gamma 90.00
_space_group_name_H-M_alt 'P m -3 m'
_space_group_IT_number 221
_space_group_name_Hall '-P 4 2 3'
loop_
_atom_site_label
_atom_site_type_symbol
_atom_site_fract_x
_atom_site_fract_y
_atom_site_fract_z
Cs1 Cs 0.000 0.000 0.000
Ti1 Ti 0.500 0.500 0.500
As1 As 0.000 0.500 0.500
```

**Energy of formation**: -212 meV/atom
**Calculated total energy**: -4.7511 eV per atom
**Energy above the lowest structure with this stoichiometry**: 0 kJ/mol of formula units

***

No. 4
Entry from the Alexandria database: an optimized crystal structure of CsTi2As2 (PBE).

Cell and atoms, written as CIF:
```
data_CsTi2As2
_cell_length_a 4.326
_cell_length_b 4.326
_cell_length_c 15.197
_cell_angle_alpha 90.00
_cell_angle_beta 90.00
_cell_angle_gamma 90.00
_space_group_name_H-M_alt 'I 4/m m m'
*/

How grateful I am to have the gospel in my life. How thankful I am for my knowledge of a loving Heavenly Father. I'm grateful for the priesthood. I'm grateful for a strong, good family ~ children and siblings and parents ~ who help me when I feel like I'm falling. They always reach out to grab me. I'm so grateful for them. I'm grateful for a living prophet who talked with God and leads us into the paths of safety. I'm grateful for Seminary!!!

Wednesday, March 10, 2010

Helaman 16

We finished up Helaman this morning.  I struggled all day yesterday with this lesson.  Nothing I read or studied seemed to be the right thing.  Even the lesson is the manual didn't seem right.  I read the chapter and re-read it and still nothing.  I pondered it all day, came across an idea in the student manual and pondered upon it.  I looked at it before going to bed and then got up early this morning to see if something would come together.  I felt good about the idea from last night.  I know from experience when I struggle with a lesson like this it is because someone in the class needs something specific and I just have to be in the right mind set to hear the promptings from Heavenly Father and be His mouthpiece.  So I prayed for inspiration ~ prayed to know what to say and when to say it.  And like always, I had to prepare myself and let the Lord do the rest.

It was a good lesson.  Good discussion and the outcome of the whole day was positive.  Hopefully whomever it was that needed this lesson was in tune with the spirit. 

We talked about how the tide is turning amongst the Lamanites and the Nephites.  The Lamanites have become the righteous ones while the Nephites are falling hard and fast.  They have hard hearts, made harder by the fact that they have had the truth for generations and are failing to REMEMBER.  We talked about what the people are doing to the prophets, what they are doing to Samuel the Lamanite.  How he is being treated, what they are doing about the preaching he is doing amongst them.  They cast him out, refuse to believe.  Those who are converted leave the city in search of Nephi and are baptized.  We talked about what it would be like to have lived in the days of Samuel the Lamanite.  Then I gave them a piece of paper with this written on the top:

Ponder about what it must have been like to be a true follower of Jesus Christ at the time of Helaman 16.  Write what you can do today in your personal preparation for His Second Coming and why it is important.

Then I gave them a few minutes to write.  I bore testimony, told them I loved them and sent them off to school, I hoped armed with the Spirit!

This is some of what they wrote...
  • I think it would be very hard...much like in the early days of the church...being persecuted for what you believe.
  • Like the true believers of the Nephite time, I can choose to stand "firm in the faith" even when those around me don't support the idea.  The prophet was on the earth then and we have one today as well.  If we follow then we can be saved as those of old.  Not physically but spiritually we can be saved from Satan's grasp.
  • I think it would have been harder because the followers of the devil would have no qualms about beating you near to death. Now there's laws against it.  I will follow in his (Jesus Christ's) ways so that I can one day stand spotless before God.
  • It would have been hard to be a true follower of Jesus Christ at the time of Helaman 16.  We wouldn't have all of the resources that we have now to be a true disciple.  I have goals on this earth that will help me prepare for the second coming.
  • It would have been absolutely amazing to be a true follower of Christ.  The spirit would be so strong.
  • I think it would have been pretty scary at times...I could have died.
  • I think it would have been sweet to be there...I think it would have been hard too because there would have been much persecution.
  • Fulfilling...dangerous...eye opening
  • I think it would have been crazyily awesome to be a follower back then, as it would have it's pro' and con's compared to now.  There was more signs back then and everything so that would be easier but you might be persecuted more.
  • It would have been bad because they didn't care who they killed.
  • To prepare for the second coming I can do many things...understand the scriptures better, be a better example, love those around me.
  • It would have been more rewarding if all those around you were falling into disbelief and I stayed firm in the knowledge of Christ.  I need to be the best Mormon I can be.
  • I think it would have been earsier to be more obedient in the older times because there wouldn't be as many temptations as there are today like computers, music, tv, and school...I will try harder to be obedient with the commandment.
  • To prepare for the second coming I woul have faith first of all. Also know that the scriptures are true.  I would repent.
These kids are the greatest.  They are strong and they have courage!